Ombudsman to Investigate the Toronto Police’s Vulnerable Persons Registry
Toronto’s Ombudsman Kwame Addo has today launched an investigation into the Toronto Police Service’s Vulnerable Persons Registry (VPR) to determine if its communication to the public about the registry is adequate and fair.
The VPR was recommended by former Supreme Court Justice Iacobucci in his 2014 report on Toronto Police encounters with people in crisis. It is a voluntary database that contains information about a vulnerable person—defined by the Toronto Police Service as a person who, due to medical, cognitive, mental health, or physical conditions, may exhibit patterns of behaviour that pose a danger to themselves.
The information in the VPR—which is voluntarily provided by the person or someone with legal authority over them—includes specific behaviours Toronto Police may encounter when interacting with the person as well as recommended de-escalation strategies, providing frontline officers with context about any personal behaviours they may observe.
As a part of the investigation, the Ombudsman will review the clarity and meaningfulness of the Toronto Police Service’s communications to the public about the registry, including but not limited to:
- The purpose of the VPR
- The VPR’s registration, verification, and engagement process
- Toronto Police Service’s use of the individual’s information
Calculated molecules from another source follow =
(1)
A 2-piece molecular cluster, C8H15NO overall, computed with wB97M-V/def2-TZVPD.

structure (SMILES): C1=CCCCC1.C/C=N\O
relative energy (zero: lowest compared OMol25 entry of this formula, charge and spin): 4.158 eV
Kohn-Sham gap: 9.73 eV

Geometry (Å):
C 1.19316 0.67202 1.32217
C 0.70032 -0.53159 1.14615
C 1.13775 -1.45504 0.06007
C 2.38592 -0.86115 -0.65986
C 2.37636 0.64225 -0.93322
C 2.10622 1.39337 0.42515
H 0.99047 1.14632 2.24148
H -0.06227 -0.91368 1.82885
H 0.35084 -1.67324 -0.78217
H 1.52615 -2.34750 0.50338
H 2.34188 -1.54899 -1.46616
H 3.28932 -1.13329 -0.08950
H 3.19581 1.00927 -1.58861
H 1.44731 0.88044 -1.63872
H 3.09679 1.57960 0.96045
H 1.72617 2.47320 0.27319
C -4.19453 0.00393 -0.26457
C -2.96934 -0.50860 0.29009
N -1.77926 -0.09410 0.17804
O -1.65940 0.98376 -0.68011
H -4.23561 -0.36354 -1.32740
H -4.04472 1.01807 -0.39274
H -5.02199 -0.24274 0.29739
H -3.07500 -1.40893 0.82071
H -0.82234 1.28012 -0.52404

Cartesian forces (eV/Å) of the 3 atoms listed first:
0.300 -0.125 0.037
-0.864 -1.263 0.024
-0.327 1.709 -1.611

(2)
C33H36Cl6F2MnN6O2PTi as an isolated structure, computed with wB97M-V/def2-TZVPD.

2S+1: 9
relative energy (zero: lowest compared OMol25 entry of this formula, charge and spin): 0.000 eV
net charge: +2
Kohn-Sham gap (spin up / spin down): 5.13 / 9.45 eV

Geometry (Å):
Mn 1.83388 -0.56070 2.26186
Ti -4.14842 0.49705 -1.03761
O 0.18018 -0.11371 1.07157
P -0.65160 -0.01144 -0.17538
O -2.06491 0.45572 -0.17461
F -0.64032 -1.48677 -0.75423
F 0.20408 0.74286 -1.24413
N 0.83258 0.23728 4.07973
C -0.51092 0.30629 4.15932
C -1.20179 0.82376 5.23654
C -0.48570 1.35058 6.29828
C 0.88885 1.35090 6.22618
C 1.50149 0.79594 5.10979
H -1.04472 0.00421 3.26619
H -2.28192 0.78674 5.25543
H -1.02547 1.76175 7.14140
H 1.48747 1.73713 7.03889
H 2.58399 0.78729 5.07714
N -3.49862 1.74693 -3.05328
C -2.33117 2.41686 -3.09306
C -1.83488 3.00912 -4.24025
C -2.59762 2.95060 -5.40103
C -3.79396 2.26152 -5.38005
C -4.18542 1.66166 -4.20406
H -1.81557 2.46385 -2.14333
H -0.89584 3.54277 -4.23464
H -2.17551 3.29703 -6.33593
H -4.48599 2.17868 -6.20688
H -5.15635 1.18447 -4.13694
N 0.93725 -2.42173 2.97110
C 1.30205 -2.90413 4.17894
C 0.93478 -4.15577 4.63485
C 0.16598 -4.96105 3.80323
C -0.13639 -4.50745 2.54022
C 0.24856 -3.23228 2.16323
H 1.88141 -2.26004 4.82718
H 1.17860 -4.54554 5.61293
H -0.17995 -5.95147 4.07039
H -0.72124 -5.09971 1.84927
H -0.04601 -2.92603 1.16695
N -4.08648 -1.53970 -2.27592
C -4.62594 -1.82424 -3.46748
C -4.33443 -2.93777 -4.24601
C -3.39052 -3.82673 -3.76616
C -2.84993 -3.59634 -2.50834
C -3.22002 -2.47102 -1.81313
H -5.34194 -1.10775 -3.85419
H -4.81250 -3.07242 -5.20421
H -3.12440 -4.72183 -4.31194
H -2.11341 -4.26060 -2.07778
H -2.80458 -2.19527 -0.85646
N 2.74622 1.44270 1.86734
C 1.91679 2.48965 1.81383
C 2.35308 3.77547 1.51828
C 3.71036 4.05203 1.39739
C 4.57449 2.96179 1.42572
C 4.04731 1.70253 1.63882
H 0.85232 2.40284 1.96290
H 1.64692 4.59390 1.55701
H 4.09024 5.05621 1.27785
Ombudsman Toronto will be speaking with people who have had experience or are registered with the VPR. Interested members of the public can write to Ombudsman Toronto at ombudsman@toronto.ca or contact the office by phone at 416-392-7062.
This investigation is the result of the Toronto’s Ombudsman Memorandum of Understanding (MOU) with the Toronto Police Service and Toronto Police Services Board. The MOU gives Toronto’s Ombudsman the authority to review the fairness of Toronto Police procedures and programs. The Ombudsman’s office will concentrate its review on activities that have a demonstrated public interest, a high level of contact with the public, and the potential to improve the fairness of police services to the public. The goal is to create systemic improvements and fairer policing in Toronto.
To avoid duplication and conflict with other oversight bodies, Ombudsman Toronto cannot investigate individual complaints about the Toronto Police Service or how it handles complaints. It also cannot review the conduct of individual officers, focusing instead on the systemic impacts of Toronto Police procedures and programs.
Ombudsman Toronto is an independent, impartial office that operates at arm’s length from the City of Toronto. This independence extends to all its investigations of the Toronto Police Service. The Ombudsman has control and discretion over all of its investigations, public reports, and recommendations concerning the Toronto Police Service.
“Last year, Toronto Police officers responded to more than 30,000 calls involving individuals experiencing mental health challenges and emotional distress. The Vulnerable Persons Registry was a tool created to give information to Toronto Police that will allow them to de-escalate these encounters better. The Toronto Police Service has a responsibility to serve all people fairly – especially when serving individuals who are in crisis and experiencing emotional distress. I am launching an investigation to ensure the Vulnerable Persons Registry is meeting that vital standard of fairness.” – Kwame Addo, Ombudsman
More information is available in this FAQ document and overview of our police oversight.
For more information, contact:
Alex Kruger
Ombudsman Toronto
Office: 416-338-3023
Cell: 647-472-0873
Ombudsman Toronto listens to and investigates people’s complaints and concerns about City of Toronto administration and the fairness of City services. We are a free and impartial office that operates independently from the City, holding it accountable to the people it serves.